Buy a diamond for MATES in Construction.

MATES in Construction is a charity established in 2008 to reduce the high level of suicide among Australian construction workers. It is owned and controlled by the Australian Building and Construction Industry.

The MATES in Construction program is based on the simple idea that “suicide is everyone’s business” and that if the building and construction industry in Australia is to improve the mental health and wellbeing of workers and to reduce suicide then it cannot be left to the mental health professionals, but rather everyone in the industry must play their part.

Mates in construction delivers a number of training programs on site. These programs are aimed at:

  1. Raising awareness about suicide in the workplace
  2. Making it easy to access help
  3. Ensuring that the help offered is practical, professional and appropriate

Hallett Concrete are participating in the MATES in construction training programs and has committed to proactively raising awareness and funding to extend this program across the building and construction industry in South Australia. We are asking for your help to do this. You would be familiar with the distinctive red diamond pattern on Hallett Concrete agitators seen on hundreds of job sites around South Australia. What better way to raise awareness in our industry than to badge up two brand new Hallett Concrete agitator trucks with the MATES in construction logos, slogans and contact information. What better way to demonstrate your affiliation with this worthy program than to attach your own logo and colours to these trucks.

## These calculated molecules were left in the entry by mistake
<<<
The following is a quantum chemistry calculation of a 4-piece molecular cluster, C12H24O12 overall in a non-equilibrium geometry, from OMol25.

Geometry as XYZ:
```
48
Properties=species:S:1:pos:R:3:forces:R:3:mulliken_charge:R:1
C 2.157 -3.185 1.849 0.99 -2.33 -1.36 -0.752
O 1.109 -2.428 2.315 -2.42 1.68 2.58 -0.109
C 0.993 -2.158 3.652 1.91 -0.07 3.56 0.534
O 1.937 -2.273 4.503 -4.04 0.37 -3.67 -0.601
O -0.333 -1.754 4.017 4.28 -0.79 -4.78 -0.159
C -0.681 -1.593 5.329 -2.43 -1.44 -2.17 -0.961
H 2.270 -4.142 2.339 -0.69 -0.50 0.52 0.344
H 3.150 -2.824 2.011 0.44 1.25 -0.33 0.332
H 1.919 -3.457 0.780 0.47 0.78 1.04 0.232
H -1.733 -1.650 5.205 -1.25 0.15 0.65 0.291
H -0.446 -0.766 5.817 1.56 4.09 1.59 0.384
H -0.392 -2.391 5.849 1.29 -3.26 2.43 0.469
C -1.575 2.194 -0.319 -3.60 5.05 2.11 -0.643
O -2.692 1.452 0.174 -1.59 -2.48 1.34 -0.309
C -2.524 0.722 1.392 2.10 -1.01 -1.27 0.863
O -1.495 0.694 2.041 -0.68 1.12 -0.62 -0.583
O -3.503 -0.143 1.634 -0.73 1.18 -2.23 -0.383
C -3.445 -1.093 2.744 7.86 0.86 -2.21 -0.526
H -0.743 1.657 -0.361 3.47 -2.56 -0.82 0.224
H -1.458 2.866 0.578 0.80 0.17 -1.26 0.380
H -1.808 2.902 -1.240 0.09 -2.15 1.85 0.217
H -2.831 -2.068 2.443 -1.55 2.05 0.45 0.133
H -4.408 -1.190 2.816 -5.19 -1.25 1.81 0.439
H -2.788 -0.510 3.420 -1.00 -0.95 0.76 0.214
C -0.857 -2.032 0.071 -1.67 1.21 1.30 -1.206
O -2.063 -1.880 -0.646 -1.55 -0.23 -0.63 -0.391
C -1.937 -1.359 -1.887 3.03 -0.05 0.65 0.931
O -0.866 -1.109 -2.378 1.27 0.38 0.07 -0.598
O -3.022 -1.185 -2.521 -4.66 1.94 -2.10 -0.422
C -3.067 -0.234 -3.741 1.32 0.56 1.23 -0.651
H -0.911 -2.568 0.998 -1.09 -0.21 0.35 0.223
H -0.451 -1.091 0.261 0.44 1.81 0.73 0.418
H -0.135 -2.463 -0.454 2.82 -2.30 -2.78 0.825
H -2.267 -0.545 -4.391 -0.21 -0.38 -0.41 0.330
H -2.874 0.844 -3.562 0.77 -0.72 1.33 0.210
H -4.028 -0.011 -4.200 -0.52 -1.93 0.30 0.315
C 1.677 1.874 -2.041 -5.40 -2.95 -2.94 -0.549
O 2.802 1.729 -2.802 3.50 -2.77 -0.40 -0.297
C 3.374 2.836 -3.171 1.37 2.20 0.73 0.774
O 2.888 3.901 -2.888 0.21 0.83 -0.55 -0.571
O 4.599 2.668 -3.740 -0.49 -0.99 0.01 -0.340
C 5.516 3.763 -3.927 -2.94 1.82 -3.14 -0.687
H 1.672 2.618 -1.329 0.52 1.32 1.83 0.423
H 1.121 0.818 -1.716 2.26 2.61 -0.75 0.088
H 1.029 2.236 -2.902 -0.73 -0.10 1.73 0.287
H 6.398 3.592 -3.419 1.94 -0.90 0.58 0.299
H 5.108 4.678 -3.521 -0.41 0.14 0.37 0.332
H 5.609 4.058 -5.085 0.14 -1.27 2.51 0.229
```
Positions in Å, forces in eV/Å.

* energy: -1374.31538 Ha
* F_max: 8.21 eV/Å
* frontier orbital gap: 0.4115 Ha
* E_HOMO: -10.5406 eV
* charge: 0



The following is a quantum chemistry calculation of a 3-piece molecular cluster, C12H24O6S3 overall in a non-equilibrium geometry, from OMol25.

Geometry as XYZ:
```
45
Properties=species:S:1:pos:R:3:forces:R:3:mulliken_charge:R:1
O 36.512 33.565 19.577 -0.01 -0.32 -1.79 -0.753
S 36.802 33.475 18.132 1.88 1.38 3.63 1.431
O 36.738 34.670 17.367 -0.61 1.34 -1.12 -0.683
C 38.407 32.820 17.893 1.04 -1.14 -1.36 -0.991
C 38.243 31.911 16.596 0.47 -1.40 3.38 -0.464
>>>

Each Hallett Concrete truck has 8 diamonds on the agitator barrel. For a 100% tax deductible direct charity contribution of $1500 you get the following:

  • Put your company logo on a diamond in your company colours (Hallett Concrete will meet the costs of and facilitate the artwork design of your diamond).
  • Free advertising for a minimum period of 2 years. These new trucks will be the pride of the fleet and assigned to high profile job sites around Adelaide.
  • Acknowledgement of support on Hallett Concrete website and in any industry award programs and promotion through all its social media channels. • A site visit to your premises by the badged up truck to enable a photography opportunity.
  • MATES in Construction can tailor a free training program to suit your business.

Help out a mate and donate! It’s easy, simply click the link to become a sponsor: , advise us of your sponsorship and we’ll get your logo printed on one of our new trucks.

From the Hallett Concrete Team, thankyou for your support.